Deputies of Mazhilis, the lower chamber of the country’s parliament, have approved a draft law that is going to punish those officials whose expenses were proven to be higher than the income they have officially declared. Once the draft law is approved, officials who enjoy a lavish lifestyle might be discharged from office.
The draft law is also going to introduce a system of control for income and expenses not only of high-ranking public servants but their spouses as well.
While deputies discussed the draft law, the head of the anti-corruption agency commented on the issue.
It’s not a secret what corrupted officials usually do to hide the fortunes they have made illegally. They just register their property with other individuals. As a result, it is very hard to prove that such property has been acquired by illegal means. However, if we see unreasonably high expenses that go beyond their official income, we have to take appropriate measures.
It is expected that sanctions against officials would be applied only in serious cases. For instance, if the difference between officially declared income and expenses of an official is higher than $7,117, he or she might be obliged to pay 90% of that difference as a fine.
If the difference between the income and expenses of an official is more than the yearly salary the state pays him, that official must be dishonorably discharged from office. However, any official would be given a chance to explain the source of that extra revenue, Akhmetzhanov added.
No. 1
# C6H8N

C6H8N as an isolated structure (wB97M-V/def2-TZVPD, the Open Molecules 2025 dataset).

```
15
Properties=species:S:1:pos:R:3:forces:R:3
N -0.555 -0.133 -0.480 -1.2 -2.2 -0.5
C 1.820 -0.875 -0.076 1.2 -1.6 0.1
C 0.708 0.089 0.255 1.1 0.9 3.2
C 2.477 1.051 0.036 -4.4 2.4 0.5
C -1.552 0.879 -0.102 0.8 0.1 3.0
C 3.029 -0.234 -0.179 0.1 0.9 1.0
C 1.249 1.513 0.095 3.9 -0.9 -0.5
H -0.859 -1.153 -0.252 0.5 2.0 -1.0
H 0.463 0.232 1.891 0.5 -0.9 -4.5
H -0.464 0.071 -1.529 0.5 -1.2 1.5
H -2.447 0.914 -0.657 -1.1 -0.7 -0.3
H -0.978 1.699 -0.356 0.5 2.5 -0.5
H 1.791 -1.953 -0.100 -0.5 -0.3 0.2
H -1.563 0.948 1.033 -0.8 -0.4 -1.5
H 4.122 -0.416 -0.050 -1.3 -0.7 -0.7
```
Forces are in eV/Å.

Relative energy (zero: lowest compared OMol25 entry of this formula, charge and spin)   9.566 eV
Net charge   +1
Frontier orbital gap   8.4 eV
Maximum force   4.98 eV Å⁻¹
LUMO energy   -5.07 eV
HOMO level   -13.511 eV



No. 2
# C6H8N

An isolated ion of composition C6H8N and charge +1 (wB97M-V/def2-TZVPD, the Open Molecules 2025 dataset).

```
15
Properties=species:S:1:pos:R:3:forces:R:3
N -1.109 0.093 -0.975 1.3 1.8 -1.8
C -0.284 -0.507 0.183 -1.4 2.7 3.0
C -0.558 1.434 -0.618 -2.5 -0.9 -3.1
C 1.519 0.669 0.737 0.7 -1.6 -2.4
C 0.109 0.943 0.472 1.0 -1.7 5.2
C -1.785 -0.702 0.054 2.4 -2.9 -0.3
C 1.188 -0.861 0.355 0.7 -2.2 -0.1
H 2.222 1.184 0.074 0.0 -0.2 0.0
H 1.664 -1.315 -0.560 -0.3 0.8 0.8
H 1.281 -1.671 1.155 0.1 1.3 -0.8
H -1.989 -1.710 -0.329 -0.2 0.5 -0.1
H -2.545 -0.360 0.711 -0.2 1.1 0.3
H 1.891 0.781 1.716 0.1 0.1 1.4
H -0.796 -0.271 -1.851 -1.0 -0.5 -1.2
H -0.808 2.294 -1.122 -0.7 1.8 -0.9
```
Forces are in eV/Å.

Relative energy (zero: lowest compared OMol25 entry of this formula, charge and spin)   3.307 eV
Net charge   +1
⟨S²⟩   2.006
Frontier orbital gap (spin up / spin down)   8.4 / 9.0 eV
Spin multiplicity   3
Maximum force   5.55 eV Å⁻¹
LUMO energy (spin up / spin down)   -3.09 / -6.63 eV
HOMO level (spin up / spin down)   -11.499 / -15.626 eV



No. 3
# C6H8N2

One molecule with the formula C6H8N2 (wB97M-V/def2-TZVPD, the Open Molecules 2025 dataset).

```
16
Properties=species:S:1:pos:R:3:forces:R:3
N -0.230 0.416 1.214 -1.2 0.7 -0.1
N -0.691 -2.845 2.198 0.3 1.3 -1.1
C -0.624 -1.954 1.456 -0.5 -1.1 0.9
C 0.336 1.420 -1.000 0.7 -2.6 -1.7
C -0.610 -0.824 0.506 0.7 1.3 -0.3
C -0.319 1.619 0.334 0.6 -1.0 0.4
C 0.446 -1.041 -0.592 -0.8 -1.0 -1.0
C 0.692 0.163 -1.470 -1.1 2.9 1.9
H 0.517 2.285 -1.638 -0.1 -0.1 0.2
H 0.132 -1.890 -1.210 0.1 0.0 -0.1
H 0.168 2.468 0.824 -0.2 -0.2 0.2
H -1.638 -0.680 0.089 0.8 -0.2 0.3
H 1.354 -1.365 -0.113 0.5 -0.1 0.2
H -1.375 1.861 0.214 -0.1 0.1 0.0
H 0.680 0.306 1.627 0.3 0.1 0.0
H 1.162 0.061 -2.441 0.0 -0.1 0.1
```
Forces are in eV/Å.

Relative energy (zero: lowest compared OMol25 entry of this formula, charge and spin)   1.046 eV
Frontier orbital gap   10.2 eV
SMILES   N#C[C@@H]1CC=CCN1
Maximum force   3.63 eV Å⁻¹
LUMO energy   0.80 eV
HOMO level   -9.367 eV



No. 4
# C6H8N2
One of the questions many deputies asked the official related to the reason the punishment is going to be applied for only serious differences between income and expenses.
This is an international best practice. We do not want to persecute an official because there is always the risk of wrong decisions. The requirements we have suggested are quite strong. In the future, this legislation is going to be further evolved and improved.
The official highlighted that the draft law is aimed at only illegal income. If there is proof of a corruption-related crime, no fine or discharge would be enough. In this case, an official would face criminal prosecution.
It is planned that the new legislation may enter into force in 2027. This is a logical continuation of a new practice of income declaration that has become common since last year. At the very first stage, high-ranking officials have revealed their income: 440 officials have declared $1.6 billion in total they have in their bank accounts. In the second stage over 2023-2024, those who work in the state agencies or quasi-state sector have to declare their income as well. Over 2024-2025 this is going to be mandatory for heads and founders of companies and in 2025-2026 the income declaration is going to be binding for the rest of the citizens. The government also wants to improve legislation on fiscal control over money transfers and transactions officials and quasi-state sector representatives might be involved in.